Material.
Structure and computed XRD peak list of LiZn6Ru (a crystal structure in Alexandria, relaxed with GGA-PBE; copper Kα).

Most intense lines, 10 to 80 degrees two-theta, sorted by position:
(hkl)	d [Å]	Rel. int.
1 1 0	5.224	181
2 2 1	2.199	1000
1 3 1	2.144	95
0 0 2	2.037	391
4 0 0	1.703	108
0 4 2	1.440	116
4 0 2	1.306	163
2 2 3	1.205	241

```
data_LiZn6Ru
_chemical_formula_sum 'Li2 Zn12 Ru2'
_symmetry_space_group_name_H-M 'C m m m'
_symmetry_Int_Tables_number 65
_symmetry_space_group_name_Hall '-C 2 2'
_cell_length_a 6.812
_cell_length_b 8.141
_cell_length_c 4.076
_cell_angle_alpha 90.00
_cell_angle_beta 90.00
_cell_angle_gamma 90.00
loop_
_atom_site_label
_atom_site_type_symbol
_atom_site_fract_x
_atom_site_fract_y
_atom_site_fract_z
_atom_site_occupancy
Li1 Li 0.000 0.000 0.000 1
Zn1 Zn 0.000 0.272 0.500 1
Zn2 Zn 0.234 0.000 0.500 1
Zn3 Zn 0.250 0.250 0.000 1
Ru1 Ru 0.000 0.500 0.000 1
```

=====

Theoretical XRD peak list of CsCa2MoF8 for Cu Ka, from a structure optimized by DFT (PBE+U).

Structural model:
```
data_CsCa2MoF8
_chemical_formula_sum 'Cs1 Ca2 Mo1 F8'
_cell_length_a 5.2400
_cell_length_b 5.4509
_cell_length_c 7.5733
_cell_angle_alpha 88.79
_cell_angle_beta 89.09
_cell_angle_gamma 88.91
_space_group_name_H-M_alt 'P -1'
_space_group_IT_number 2
loop_
_space_group_symop_operation_xyz
'x,y,z'
'-x,-y,-z'
loop_
_atom_site_label
_atom_site_fract_x
_atom_site_fract_y
_atom_site_fract_z
_atom_site_occupancy
Cs1 0.0000 0.0000 0.0000 1
Ca1 0.4989 0.4981 0.2519 1
Mo1 0.0000 0.0000 0.5000 1
F1 0.1705 0.7605 0.6871 1
F2 0.1851 0.7726 0.3157 1
F3 0.3036 0.2620 0.5007 1
F4 0.4243 0.2854 0.0041 1
```

Principal peaks in the range 15° ≤ 2θ ≤ 90°, in order of rising 2θ:
| h k l | Position (°2θ) | intensity |
| --- | --- | --- |
| 0 1 0 | 16.27 | 36 |
| 1 1 0 | 23.34 | 100 |
| 1 -1 0 | 23.78 | 78 |
| 0 1 2 | 28.43 | 44 |
| 0 1 -2 | 29.00 | 43 |
| -1 2 2 | 44.50 | 36 |

=====

Structure and theoretical powder XRD pattern of Li3Pd (a cell relaxed with GGA-PBE; Cu Kα (λ = 1.5418 Å)).
Intensities are scaled so that the largest is 100.

Principal peaks in the range 10 to 90 degrees two-theta, sorted by position:
h k l, Position (°2θ), I/Imax
1 1 1, 24.94, 100.0
2 0 0, 28.88, 51.5
2 2 0, 41.30, 55.4
3 1 1, 48.86, 47.1
2 2 2, 51.18, 13.6
4 0 0, 59.84, 9.1
3 3 1, 65.85, 18.8
4 2 0, 67.78, 17.2
4 2 2, 75.30, 18.1
5 1 1, 80.77, 14.0

Cell lengths 6.183, 6.183, 6.183 Å; angles 90.00, 90.00, 90.00 degrees
Space group Fm-3m (No. 225)
Symmetry-distinct sites (fractional):
Li1 0.000 0.000 0.000
Li2 0.250 0.250 0.250
Pd1 0.000 0.000 0.500

***

Structure and theoretical powder XRD pattern of FeCoSn (a cell relaxed with GGA-PBE; Cu Kα (λ = 1.5418 Å)).
Intensities are scaled so that the largest is 100.

Principal peaks in the range 10 to 90 degrees two-theta, sorted by position:
h k l, Position (°2θ), I/Imax
1 0 1, 29.15, 24.2
0 0 2, 34.67, 12.8
1 1 0, 41.14, 100.0
1 0 2, 42.25, 72.7
1 1 2, 54.86, 21.3
2 0 2, 60.44, 24.2
3 0 0, 74.96, 16.4
2 1 2, 75.73, 24.6
1 1 4, 87.53, 22.5
2 2 0, 89.28, 10.9

Cell lengths 4.3887, 4.3887, 5.1752 Å; angles 90.00, 90.00, 120.00 degrees
Space group P6_3/mmc (No. 194)
Symmetry-distinct sites (fractional):
Fe1 0.3333 0.6667 0.2500
Co1 0.0000 0.0000 0.0000
Sn1 0.3333 0.6667 0.7500

***

Structure and theoretical powder XRD pattern of Cs2RbSbI6 (a cell relaxed with GGA-PBE; Cu Kα (λ = 1.5418 Å)).
Intensities are scaled so that the largest is 100.

Principal peaks in the range 10 to 90 degrees two-theta, sorted by position:
h k l, Position (°2θ), I/Imax
2 0 0, 13.57, 15.6
2 2 0, 19.24, 17.2
2 2 2, 23.62, 83.3
4 0 0, 27.34, 100.0
4 4 0, 39.05, 73.1
6 2 2, 46.14, 35.8
4 4 4, 48.32, 25.1
6 6 2, 62.00, 12.9
8 4 0, 63.80, 30.1
8 4 4, 70.74, 21.2

Cell lengths 13.049, 13.049, 13.049 Å; angles 90.00, 90.00, 90.00 degrees
Space group Fm-3m (No. 225)
Symmetry-distinct sites (fractional):
Cs1 0.250 0.250 0.250
Rb1 0.000 0.000 0.000
Sb1 0.000 0.000 0.500
I1 0.000 0.000 0.268

***
Exercise.
The reader should type out the whole of the material further above character by character.
Done.
Structure and computed XRD peak list of LiZn6Ru (a crystal structure in Alexandria, relaxed with GGA-PBE; copper Kα).

Most intense lines, 10 to 80 degrees two-theta, sorted by position:
(hkl)	d [Å]	Rel. int.
1 1 0	5.224	181
2 2 1	2.199	1000
1 3 1	2.144	95
0 0 2	2.037	391
4 0 0	1.703	108
0 4 2	1.440	116
4 0 2	1.306	163
2 2 3	1.205	241

```
data_LiZn6Ru
_chemical_formula_sum 'Li2 Zn12 Ru2'
_symmetry_space_group_name_H-M 'C m m m'
_symmetry_Int_Tables_number 65
_symmetry_space_group_name_Hall '-C 2 2'
_cell_length_a 6.812
_cell_length_b 8.141
_cell_length_c 4.076
_cell_angle_alpha 90.00
_cell_angle_beta 90.00
_cell_angle_gamma 90.00
loop_
_atom_site_label
_atom_site_type_symbol
_atom_site_fract_x
_atom_site_fract_y
_atom_site_fract_z
_atom_site_occupancy
Li1 Li 0.000 0.000 0.000 1
Zn1 Zn 0.000 0.272 0.500 1
Zn2 Zn 0.234 0.000 0.500 1
Zn3 Zn 0.250 0.250 0.000 1
Ru1 Ru 0.000 0.500 0.000 1
```

=====

Theoretical XRD peak list of CsCa2MoF8 for Cu Ka, from a structure optimized by DFT (PBE+U).

Structural model:
```
data_CsCa2MoF8
_chemical_formula_sum 'Cs1 Ca2 Mo1 F8'
_cell_length_a 5.2400
_cell_length_b 5.4509
_cell_length_c 7.5733
_cell_angle_alpha 88.79
_cell_angle_beta 89.09
_cell_angle_gamma 88.91
_space_group_name_H-M_alt 'P -1'
_space_group_IT_number 2
loop_
_space_group_symop_operation_xyz
'x,y,z'
'-x,-y,-z'
loop_
_atom_site_label
_atom_site_fract_x
_atom_site_fract_y
_atom_site_fract_z
_atom_site_occupancy
Cs1 0.0000 0.0000 0.0000 1
Ca1 0.4989 0.4981 0.2519 1
Mo1 0.0000 0.0000 0.5000 1
F1 0.1705 0.7605 0.6871 1
F2 0.1851 0.7726 0.3157 1
F3 0.3036 0.2620 0.5007 1
F4 0.4243 0.2854 0.0041 1
```

Principal peaks in the range 15° ≤ 2θ ≤ 90°, in order of rising 2θ:
| h k l | Position (°2θ) | intensity |
| --- | --- | --- |
| 0 1 0 | 16.27 | 36 |
| 1 1 0 | 23.34 | 100 |
| 1 -1 0 | 23.78 | 78 |
| 0 1 2 | 28.43 | 44 |
| 0 1 -2 | 29.00 | 43 |
| -1 2 2 | 44.50 | 36 |

=====

Structure and theoretical powder XRD pattern of Li3Pd (a cell relaxed with GGA-PBE; Cu Kα (λ = 1.5418 Å)).
Intensities are scaled so that the largest is 100.

Principal peaks in the range 10 to 90 degrees two-theta, sorted by position:
h k l, Position (°2θ), I/Imax
1 1 1, 24.94, 100.0
2 0 0, 28.88, 51.5
2 2 0, 41.30, 55.4
3 1 1, 48.86, 47.1
2 2 2, 51.18, 13.6
4 0 0, 59.84, 9.1
3 3 1, 65.85, 18.8
4 2 0, 67.78, 17.2
4 2 2, 75.30, 18.1
5 1 1, 80.77, 14.0

Cell lengths 6.183, 6.183, 6.183 Å; angles 90.00, 90.00, 90.00 degrees
Space group Fm-3m (No. 225)
Symmetry-distinct sites (fractional):
Li1 0.000 0.000 0.000
Li2 0.250 0.250 0.250
Pd1 0.000 0.000 0.500

***

Structure and theoretical powder XRD pattern of FeCoSn (a cell relaxed with GGA-PBE; Cu Kα (λ = 1.5418 Å)).
Intensities are scaled so that the largest is 100.

Principal peaks in the range 10 to 90 degrees two-theta, sorted by position:
h k l, Position (°2θ), I/Imax
1 0 1, 29.15, 24.2
0 0 2, 34.67, 12.8
1 1 0, 41.14, 100.0
1 0 2, 42.25, 72.7
1 1 2, 54.86, 21.3
2 0 2, 60.44, 24.2
3 0 0, 74.96, 16.4
2 1 2, 75.73, 24.6
1 1 4, 87.53, 22.5
2 2 0, 89.28, 10.9

Cell lengths 4.3887, 4.3887, 5.1752 Å; angles 90.00, 90.00, 120.00 degrees
Space group P6_3/mmc (No. 194)
Symmetry-distinct sites (fractional):
Fe1 0.3333 0.6667 0.2500
Co1 0.0000 0.0000 0.0000
Sn1 0.3333 0.6667 0.7500

***

Structure and theoretical powder XRD pattern of Cs2RbSbI6 (a cell relaxed with GGA-PBE; Cu Kα (λ = 1.5418 Å)).
Intensities are scaled so that the largest is 100.

Principal peaks in the range 10 to 90 degrees two-theta, sorted by position:
h k l, Position (°2θ), I/Imax
2 0 0, 13.57, 15.6
2 2 0, 19.24, 17.2
2 2 2, 23.62, 83.3
4 0 0, 27.34, 100.0
4 4 0, 39.05, 73.1
6 2 2, 46.14, 35.8
4 4 4, 48.32, 25.1
6 6 2, 62.00, 12.9
8 4 0, 63.80, 30.1
8 4 4, 70.74, 21.2

Cell lengths 13.049, 13.049, 13.049 Å; angles 90.00, 90.00, 90.00 degrees
Space group Fm-3m (No. 225)
Symmetry-distinct sites (fractional):
Cs1 0.250 0.250 0.250
Rb1 0.000 0.000 0.000
Sb1 0.000 0.000 0.500
I1 0.000 0.000 0.268

***